On March 10, the USDA released the March supply/demand report was considered negative to corn and wheat as U.S., and world, ending stocks were increased, while providing support for the soybean market which saw U.S. ending stocks shrink to below 200 million bushels.
This report also included a new corn and soybean production figure as USDA re-surveyed producers in Iowa, Illinois, Nebraska and Minnesota in an effort to determine the amount of unharvested grain from last fall. They did not resurvey acres in North or South Dakota, but did leave the door open for another production change as they intend to re-survey producers in the Dakotas as they have harvested last year’s crops this spring.
The USDA lowered the 2009 corn production forecast by 20 mb to 13.131 billion bushels while lowering the corn export forecast by 100 mb to 1.9 bb. This left the resulting corn ending stocks at 1.799 bb, an increase of 80 mb from the February report.
Looking at world numbers, the USDA raised the Argentine corn crop to 21 million metric tons from 17.2 mmts last month and up from 15 mmts last year. The larger production figure also means a significant increase in exports to 12 mmts from 9.5 mmts a year ago.
These numbers are certainly not bullish for the corn market. Unless the USDA begins to reduce the crop sizably in the next report, the only hope for old crop corn stocks appears to be a weather rally this spring or summer.
The U.S. has an adequate supply of corn, although producers with a high quality of corn stocks are expected to be rewarded for the quality with tighter basis premiums over the poor quality corn.
• What comes next are records of crystals, not part of the text:
Entry from Alexandria: crystalline Pm3Nd2Sm5 at its relaxed geometry (PBE).

Output
As for the symmetry: No. 72. The crystal system is orthorhombic. The calculation puts the energy of formation from the pure elements at 0.362 eV/atom.

Cell: 12.5340 12.5340 12.5340 Å, 135.28 56.14 147.85°
Fractional coordinates of all 20 atoms:
Pm1 0.1261 0.2504 0.3764
Pm2 0.2500 0.2500 0.0000
Pm3 0.3739 0.7504 0.1243
Pm4 0.6261 0.2496 0.8757
Pm5 0.7500 0.7500 0.0000
Pm6 0.8739 0.7496 0.6236
Nd1 0.1241 0.9009 0.0250
Nd2 0.3759 0.4009 0.7768
Nd3 0.6241 0.5991 0.2232
Nd4 0.8759 0.0991 0.9750
Sm1 0.0006 0.2500 0.7506
Sm2 0.1261 0.5926 0.7187
Sm3 0.2500 0.7500 0.5000
Sm4 0.3739 0.0926 0.4665
Sm5 0.4994 0.2500 0.2494
Sm6 0.5006 0.7500 0.7506
Sm7 0.6261 0.9074 0.5335
Sm8 0.7500 0.2500 0.5000
Sm9 0.8739 0.4074 0.2813
Sm10 0.9994 0.7500 0.2494

***

Entry from Alexandria: crystalline TlOsNO2 at its relaxed geometry (PBE).

Output
As for the symmetry: No. 123. The crystal system is tetragonal. The formation energy from raw total energies is -204 meV per atom.

Cell: 4.0238 4.0238 3.8918 Å, 90.00 90.00 90.00°
Fractional coordinates of all 5 atoms:
Tl1 0.0000 0.0000 0.0000
Os1 0.5000 0.5000 0.5000
N1 0.5000 0.5000 0.0000
O1 0.0000 0.5000 0.5000
O2 0.5000 0.0000 0.5000

***

no.,VASP energy (Ry/atom)
1,-0.322
2,-0.483
As with corn, the USDA made a minor revision to the 2009/10 crop size, lowering it by only 2 mb to 3.359 bb.
The 2 mb reduction was offset by a 7 mb increase in imports while the USDA improved demand by 30 mb as they raised crush by 10 mb to 1.730 and exports by 20 mb to 1.420 bb.
Overall, the USDA lowered old crop ending stocks by 20 mb to 190 mb. This is historically tight, however the trade knows the majority of our export and crush business was front end loaded and this supply of soybeans will be adequate for any future needs barring a crop catastrophe this summer.
Here the page breaks off for crystal structures.
********
1.
PrNdEr2Tm2: relaxed, PBE.

Cell lengths 6.9266, 9.8057, 5.6557 Å; angles 90.00, 90.00, 90.00 degrees
Closest atoms and distances in Å follow each position.
Sites, in units of the cell vectors:
Pr  0.0000  0.0000  0.0000  2 Nd 3.46, 6 Tm 3.70, 6 Er 3.70
Pr  0.5000  0.5000  0.5000  2 Nd 3.46, 6 Tm 3.70, 6 Er 3.70
Nd  0.0000  0.5000  0.5000  2 Pr 3.46, 6 Tm 3.69-3.70, 6 Er 3.70
Nd  0.5000  0.0000  0.0000  2 Pr 3.46, 6 Tm 3.69-3.70, 6 Er 3.70
Er  0.2501  0.1667  0.5000  5 Tm 3.27-3.47
Er  0.2499  0.6667  0.0000  5 Tm 3.27-3.47
Er  0.7501  0.3333  0.0000  5 Tm 3.27-3.47
Er  0.7499  0.8333  0.5000  5 Tm 3.27-3.47
Tm  0.2498  0.3337  0.0000  5 Er 3.27-3.47
Tm  0.2502  0.8337  0.5000  5 Er 3.27-3.47
Tm  0.7498  0.1663  0.5000  5 Er 3.27-3.47
Tm  0.7502  0.6663  0.0000  5 Er 3.27-3.47

Values from the calculation:
Space group: Pnnm, No. 58

---

2.
Pr3NdEr2Tm6: relaxed, PBE.

Cell lengths 6.1835, 6.1835, 11.7271 Å; angles 95.03, 95.03, 119.98 degrees
Closest atoms and distances in Å follow each position.
Sites, in units of the cell vectors:
Pr  0.0000  0.0000  0.0000  6 Pr 3.57, 6 Tm 3.58
Pr  0.3331  0.6669  0.0000  6 Pr 3.57, 6 Tm 3.58
Pr  0.6669  0.3331  0.0000  6 Pr 3.57, 6 Tm 3.58
Nd  0.5000  0.5000  0.5000  6 Tm 3.52, 6 Er 3.57
Er  0.1668  0.8332  0.5000  6 Tm 3.51-3.52, 3 Nd 3.57, 3 Er 3.57
Er  0.8332  0.1668  0.5000  6 Tm 3.51-3.52, 3 Nd 3.57, 3 Er 3.57
Tm  0.0836  0.4175  0.2535  2 Er 3.51, 1 Nd 3.52, 6 Tm 3.57-3.58, 3 Pr 3.58
Tm  0.2486  0.2486  0.7466  1 Nd 3.52, 2 Er 3.52, 6 Tm 3.57-3.58, 3 Pr 3.58
Tm  0.4175  0.0836  0.2535  2 Er 3.51, 1 Nd 3.52, 6 Tm 3.57-3.58, 3 Pr 3.58
Tm  0.5825  0.9164  0.7465  2 Er 3.51, 1 Nd 3.52, 6 Tm 3.57-3.58, 3 Pr 3.58
Tm  0.7514  0.7514  0.2534  1 Nd 3.52, 2 Er 3.52, 6 Tm 3.57-3.58, 3 Pr 3.58
Tm  0.9164  0.5825  0.7465  2 Er 3.51, 1 Nd 3.52, 6 Tm 3.57-3.58, 3 Pr 3.58

Values from the calculation:
Space group: C2/m, No. 12

---

3.
PrNd2Er6Tm3: relaxed, PBE.

Cell lengths 6.1516, 6.1516, 11.7254 Å; angles 95.02, 95.02, 119.96 degrees
Closest atoms and distances in Å follow each position.
Sites, in units of the cell vectors:
Pr  0.0000  0.0000  0.0000  6 Nd 3.55, 6 Er 3.59
Nd  0.3334  0.6666  0.0000  3 Nd 3.55, 3 Pr 3.55, 6 Er 3.59
Nd  0.6666  0.3334  0.0000  3 Nd 3.55, 3 Pr 3.55, 6 Er 3.59
Er  0.0861  0.4197  0.2553  3 Tm 3.49-3.50, 6 Er 3.55-3.56, 2 Nd 3.59, 1 Pr 3.59
Er  0.2474  0.2474  0.7447  3 Tm 3.49, 6 Er 3.55-3.56, 1 Pr 3.59, 2 Nd 3.59
Er  0.4197  0.0861  0.2553  3 Tm 3.49-3.50, 6 Er 3.55-3.56, 2 Nd 3.59, 1 Pr 3.59
Er  0.5803  0.9139  0.7447  3 Tm 3.49-3.50, 6 Er 3.55-3.56, 2 Nd 3.59, 1 Pr 3.59
Er  0.7526  0.7526  0.2553  3 Tm 3.49, 6 Er 3.55-3.56, 1 Pr 3.59, 2 Nd 3.59
Er  0.9139  0.5803  0.7447  3 Tm 3.49-3.50, 6 Er 3.55-3.56, 2 Nd 3.59, 1 Pr 3.59
Tm  0.1667  0.8333  0.5000  6 Er 3.49-3.50, 6 Tm 3.55
Tm  0.5000  0.5000  0.5000  6 Er 3.49, 6 Tm 3.55
Tm  0.8333  0.1667  0.5000  6 Er 3.49-3.50, 6 Tm 3.55

Values from the calculation:
Space group: C2/m, No. 12

---

4.
PrNd2ErTm2: relaxed, PBE.
********
The USDA raised the Brazilian soybean crop to 67 mmts and left Argentina unchanged at 53.0 mmts. World ending stocks advanced to a three year high at 60.7 mmts.
Compare that figure to last year’s 42.0 mmts. The world ending stocks indicates the world has plenty of soy supplies available until the next U.S. harvest this fall.
Soybeans will not be in a fight for acreage this spring with corn due to the big supplies, but the U.S. can ill afford to lose acreage either with overall demand equal to last year’s production.
The wheat situation was quiet once again with the only revision to the U.S. balance sheets a 20 mb reduction in food usage to 920 mb. The USDA left export at 825 mb and feed/residual at 170 mb. However, the lower food usage pushes wheat stocks up to 1.001 bb from 981 mb last month and is 34 percent larger than the estimated 657 mb a year ago. The stocks to usage ratio is the highest since the mid1980s at 50.4 percent.
The Argentine wheat crop increased to 9.6 mmts from 9 mmts, while the Australian, Canadian and EU balance sheets were unchanged from a year ago. The USDA raised world wheat stocks to 196.8 mmts from 195. 9 mmts last month. This is well above last year’s 165.6 mmts and is the largest world wheat stocks estimate since 2001/02.
Corn analysis
What comes next are data records, not part of the piece
********
<A>
DFT (PBE-GGA) results for crystalline ScTlFeHg at its relaxed geometry.

Results
Space group: F-43m (216)

Unit cell a=4.8337 b=4.8337 c=4.8337 alpha=60.00 beta=60.00 gamma=60.00
Closest atoms and distances in Å follow each position.
Element x y z (fractional)
Sc 0.0000 0.0000 0.0000  4 Fe 2.96, 4 Hg 2.96
Tl 0.5000 0.5000 0.5000  4 Fe 2.96, 4 Hg 2.96
Fe 0.7500 0.7500 0.7500  4 Sc 2.96, 4 Tl 2.96
Hg 0.2500 0.2500 0.2500  4 Tl 2.96, 4 Sc 2.96



<B>
DFT (PBE-GGA) results for crystalline ScTlFeHg at its relaxed geometry.

Results
Space group: F-43m (216)

Unit cell a=4.7346 b=4.7346 c=4.7346 alpha=60.00 beta=60.00 gamma=60.00
Closest atoms and distances in Å follow each position.
Element x y z (fractional)
Sc 0.0000 0.0000 0.0000  4 Hg 2.90, 4 Tl 2.90
Tl 0.2500 0.2500 0.2500  4 Fe 2.90, 4 Sc 2.90
Fe 0.5000 0.5000 0.5000  4 Hg 2.90, 4 Tl 2.90
Hg 0.7500 0.7500 0.7500  4 Fe 2.90, 4 Sc 2.90



How far above the most stable structure does each one sit? In meV/atom: <A> 93; <B> 0.

----------

Below is a relaxed structure of Mg5Zn2Cd2, with properties calculated at the PBE level.

CIF file:
```
data_Mg5Zn2Cd2
_chemical_formula_sum 'Mg20 Zn8 Cd8'
_symmetry_space_group_name_H-M 'C m c e'
_symmetry_Int_Tables_number 64
_symmetry_space_group_name_Hall '-C 2ac 2'
_cell_length_a 15.670
_cell_length_b 7.026
_cell_length_c 7.027
_cell_angle_alpha 90.00
_cell_angle_beta 90.00
_cell_angle_gamma 90.00
loop_
_atom_site_label
_atom_site_type_symbol
_atom_site_fract_x
_atom_site_fract_y
_atom_site_fract_z
Mg1 Mg 0.000 0.000 0.000
Mg2 Mg 0.124 0.174 0.324
Zn1 Zn 0.000 0.127 0.627
Cd1 Cd 0.223 0.000 0.000
```

* ΔH_f (0 K): -0.032 eV per atom
* energy: -1.405 eV/atom
* M_tot: 0.0 μB per cell
* crystal system: orthorhombic



Below is a relaxed structure of CaCrRe2, with properties calculated at the PBE level.

CIF file:
```
data_CaCrRe2
_chemical_formula_sum 'Ca1 Cr1 Re2'
_symmetry_space_group_name_H-M 'P m m m'
_symmetry_Int_Tables_number 47
_cell_length_a 3.128
_cell_length_b 4.458
_cell_length_c 4.719
_cell_angle_alpha 90.00
_cell_angle_beta 90.00
_cell_angle_gamma 90.00
loop_
_symmetry_equiv_pos_as_xyz
'x,y,z'
'-x,-y,-z'
'-x,-y,z'
'x,y,-z'
'x,-y,-z'
'-x,y,z'
'-x,y,-z'
'x,-y,z'
loop_
_atom_site_label
_atom_site_type_symbol
_atom_site_fract_x
_atom_site_fract_y
_atom_site_fract_z
Ca1 Ca 0.000 0.000 0.000
Cr1 Cr 0.500 0.500 0.000
Re1 Re 0.000 0.500 0.500
Re2 Re 0.500 0.000 0.500
```

* ΔH_f (0 K): 0.754 eV per atom
* distance to the lowest polymorph of the same formula: 276 meV/atom
* energy: -8.376 eV/atom
* M_tot: 2.2 μB per cell
* crystal system: orthorhombic



Below is a relaxed structure of Mn5Be2GeW2, with properties calculated at the PBE level.

CIF file:
```
data_Mn5Be2GeW2
_chemical_formula_sum 'Mn10 Be4 Ge2 W4'
_symmetry_space_group_name_H-M 'P 4/m b m'
_symmetry_Int_Tables_number 127
_symmetry_space_group_name_Hall '-P 4 2ab'
_cell_length_a 8.681
_cell_length_b 8.681
_cell_length_c 3.067
_cell_angle_alpha 90.00
_cell_angle_beta 90.00
********
Corn closed the week $.11 1/4 lower. Fund selling following the bearish supply/demand report left the market reeling and closed lower for the week. The market is starting to anticipate a delayed start to the planting season as a heavy snow cap and forecasts for a wet spring are providing support.
Limiting the upside potential for corn is a large amount of old crop corn that has quality issues. The USDA reported a private sale of 116,000 mts of U.S. corn to South Korea. Commercials continue to provide support to the market as they are buying back their shorts and are now using price weakness as an opportunity to extend coverage into the summer months, which always brings uncertainty and production concerns.
The weekly export sales report showed net sales of 338,600 MT for delivery in 2009/10 were down 56 percent from the previous week and 53 percent from the prior four-week average. This was the smallest exports in two months.
Soybean analysis
Soybeans closed the week $.17 1/4 lower from last week. China cancelled previous soybean purchases, only to re-own those sales through private purchases at lower price levels. China purchased 330,000 mts of U.S. soybeans for the 2010/11 crop year in two separate purchases.
The weekly export sales report showed net sales reductions of 115,800 MT for delivery in 2009/10. This was the first negative sales report in six years and the worst weekly export sales in six years.
Commercials are at their most bullish position since the rally began in March of 2009. Look for major commercial support to limit the downside in soybeans to the $8.92 chart support.
Brian Hoops is president and senior market analyst of Midwest Market Solutions Inc. Midwest Market Solutions is a full-service commodity brokerage and marketing advisory service, clearing through R.J. O’Brien.